The importance of improving the quality of long-term care increases as life expectancy rises; however, research in long-term care (LTC) still proves challenging. In a recent systematic review, Lam et al. reviewed studies that revealed a multitude of obstacles to research in long-term care.
Attached: data records:
=====
## NaLaCr2O8 (GGA+U)

Data for crystalline NaLaCr2O8 at its relaxed geometry.

Calculated values
Symmetry: I-4m2
Total energy in eV per atom: -6.969
V in Å³ per atom: 15.043
Calculated density in g/cm³: 3.6

a = 6.194 Å, b = 6.194 Å, c = 6.194 Å
α = 105.80°, β = 105.80°, γ = 117.09°
Fractional coordinates of all 12 atoms:
1 Na 0.250 0.750 0.500
2 La 0.000 0.000 0.000
3 Cr 0.750 0.250 0.500
4 Cr 0.500 0.500 0.000
5 O 0.418 0.098 0.320
6 O 0.339 0.513 0.174
7 O 0.339 0.165 0.826
8 O 0.777 0.098 0.680
9 O 0.835 0.661 0.174
10 O 0.902 0.223 0.320
11 O 0.902 0.582 0.680
12 O 0.487 0.661 0.826

~~~~~

1.
Below is a relaxed AgSeCl4 crystal, with properties calculated at the GGA-PBE level.

Output
V = 344 Å³ per cell
Magnetic moment = 0.0 μB/f.u.
Total DFT energy (no corrections) = -31.0 eV per cell

Cell: 7.2161 6.8281 8.5370 Å, 103.45 105.33 113.32°
Positions (direct):
Se (0.8242, 0.0742, 0.1483)
Se (0.1758, 0.9258, 0.8517)
Cl (0.2837, 0.0423, 0.6402)
Cl (0.7163, 0.9577, 0.3598)
Cl (0.5036, 0.2847, 0.0924)
Cl (0.4964, 0.7153, 0.9076)
Cl (0.0888, 0.8077, 0.0924)
Cl (0.8565, 0.5979, 0.6402)
Cl (0.9112, 0.1923, 0.9076)
Cl (0.1435, 0.4021, 0.3598)
Ag (0.6791, 0.4291, 0.8581)
Ag (0.3209, 0.5709, 0.1419)

---

2.
Below is a relaxed SiAg5Se4Cl2 crystal, with properties calculated at the GGA-PBE level.

Output
V = 292 Å³ per cell
Magnetic moment = 0.0 μB/f.u.
Total DFT energy (no corrections) = -40.7 eV per cell

Cell: 6.4734 6.5661 7.9008 Å, 90.00 90.00 119.53°
Positions (direct):
Se (0.3987, 0.3204, 0.0000)
Se (0.6549, 0.0000, 0.7592)
Se (0.6549, 0.0000, 0.2408)
Se (0.0783, 0.6796, 0.0000)
Si (0.4573, 0.0000, 0.0000)
Ag (0.0816, 0.3894, 0.7703)
Ag (0.6922, 0.6106, 0.2297)
Ag (0.6922, 0.6106, 0.7703)
Ag (0.0816, 0.3894, 0.2297)
Ag (0.3946, 0.0000, 0.5000)
Cl (0.2785, 0.3378, 0.5000)
Cl (0.9407, 0.6622, 0.5000)

---

3.
Below is a relaxed TaAg5Se4Cl2 crystal, with properties calculated at the GGA-PBE level.

Output
V = 303 Å³ per cell
Magnetic moment = 0.0 μB/f.u.
Total DFT energy (no corrections) = -48.0 eV per cell

Cell: 6.5563 6.8663 7.6596 Å, 90.00 90.00 118.52°
Positions (direct):
Ag (0.6960, 0.6290, 0.2241)
Ag (0.0670, 0.3710, 0.7759)
Ag (0.0670, 0.3710, 0.2241)
Ag (0.3656, 0.0000, 0.5000)
Ag (0.6960, 0.6290, 0.7759)
Se (0.3952, 0.3240, 0.0000)
Se (0.6679, 0.0000, 0.2606)
Se (0.0712, 0.6760, 0.0000)
Se (0.6679, 0.0000, 0.7394)
Cl (0.9519, 0.6478, 0.5000)
Cl (0.3040, 0.3522, 0.5000)
Ta (0.4558, 0.0000, 0.0000)

---

4.
Below is a relaxed Ag7TeSe2Cl2 crystal, with properties calculated at the GGA-PBE level.

Output
V = 300 Å³ per cell
Magnetic moment = 0.0 μB/f.u.
Total DFT energy (no corrections) = -35.6 eV per cell

Cell: 4.3477 6.3324 11.5375 Å, 105.93 100.86 90.00°
Positions (direct):
Se (0.6044, 0.7036, 0.2088)
Se (0.3956, 0.4948, 0.7912)
Ag (0.7195, 0.7200, 0.4389)
Ag (0.5925, 0.1159, 0.1851)
Ag (0.5000, 0.3584, 0.0000)
Ag (0.9136, 0.2880, 0.8272)
Ag (0.4075, 0.9308, 0.8149)
Ag (0.2805, 0.2811, 0.5611)
Ag (0.0864, 0.4607, 0.1728)
=====
The authors searched several databases through 2017 and included any primary research that mentioned challenges or barriers experienced during the course of LTC research. Of 1723 references, 80 articles were screened and 39 were included in the review. Those 39 articles were then categorized by eight themes, one of which addressed obstacles to research at the facility level.
The authors found that 46% of studies reported major obstacles in the realm of facility administration. Specifically, some facilities, like those in large nursing home chains, could not participate due to corporate policies governing the decision, while some independent facilities lacked the resources to participate. High staff and resident turnover rates were an issue. Other facilities declined taking part in research, citing fear or suspicion about additional inspections, scrutiny, and unflattering findings.
Additionally, facility staff had diverse educational and experiential backgrounds and, as a result, had mixed opinions about research. Some staff members were “suspicious of the investigators’ motives” for being on-site at the facility to conduct study activities. Others were disinterested in having their facilities participate because they did not see the value in the research. For some, participating in research could seem daunting and time-consuming to staff. In addition, recruitment was lengthy, and took a reported 8 months to more than a year.
Other obstacles identified included complicated logistics based on the setting of the nursing home. Researchers in some of the studies reported “logistical challenges” such as not having medical records for participants easily accessible and being unable to find a private environment to conduct confidential interviews.
In our experience at Insight Therapeutics, staff in nursing homes are busy, sometimes overburdened by care tasks. They also don’t often have the time to dedicate to helping with study procedures, particularly witnessing consent or assisting with interventions, much less respond to communications from research staff.
• Inserted here: materials data:
********
# Pm2NdHo2Er (PBE-GGA, relaxed)
data_Pm2NdHo2Er
_space_group_name_H-M_alt 'P n n m'
_space_group_IT_number 58
_space_group_name_Hall '-P 2 2n'
_cell_length_a 6.1176
_cell_length_b 18.3504
_cell_length_c 3.5556
_cell_angle_alpha 90.00
_cell_angle_beta 90.00
_cell_angle_gamma 90.00
loop_
_atom_site_label
_atom_site_fract_x
_atom_site_fract_y
_atom_site_fract_z
Pm1 0.1648 0.1567 0.0000
Nd1 0.0000 0.5000 0.5000
Ho1 0.1641 0.3434 0.0000
Er1 0.0000 0.0000 0.5000
# Calculated formation energy: 0.103 eV per atom
# DFT total energy: -54.733 eV per cell

----------

1.
VASP calculation (GGA-PBE) on a geometry-optimized Ce6CdTc2 structure.

```
Ce6CdTc2
1.0
-0.345 -0.313 5.005
3.466 -3.751 -2.520
5.957 6.431 0.813
Tc Ce Cd
2 6 1
Direct
0.729 0.458 0.883 Tc
0.271 0.542 0.117 Tc
0.050 0.099 0.865 Ce
0.392 0.784 0.828 Ce
0.302 0.604 0.384 Ce
0.608 0.216 0.172 Ce
0.698 0.396 0.616 Ce
0.950 0.901 0.135 Ce
0.000 0.000 0.500 Cd
```

Computed properties:
VASP energy, eV per cell: -58.59
ΔE_f, eV/atom: -0.149
Mass density, g cm⁻³: 8.50
V, Å³/atom: 24.9
M_tot, μB per formula unit: 0.0



2.
VASP calculation (GGA-PBE) on a geometry-optimized Pd5Pt4W structure.

```
Pd5Pt4W
1.0
-2.574 0.560 2.893
-2.042 -6.791 -0.502
6.511 1.545 2.848
Pd Pt W
5 4 1
Direct
0.500 0.500 0.000 Pd
0.166 0.712 0.332 Pd
0.829 0.888 0.658 Pd
0.171 0.112 0.342 Pd
0.834 0.288 0.668 Pd
0.325 0.588 0.649 Pt
0.675 0.412 0.351 Pt
0.980 0.739 0.960 Pt
0.020 0.261 0.040 Pt
0.500 0.000 0.000 W
```

Computed properties:
VASP energy, eV per cell: -62.29
ΔE_f, eV/atom: 0.079
Mass density, g cm⁻³: 14.79
V, Å³/atom: 16.8
M_tot, μB per formula unit: 0.0



3.
VASP calculation (GGA-PBE) on a geometry-optimized LiGa structure.

```
LiGa
1.0
7.751 0.000 0.000
0.000 7.751 0.000
0.000 0.000 4.880
Li Ga
8 8
Direct
0.699 0.078 0.500 Li
0.922 0.699 0.500 Li
0.301 0.922 0.500 Li
0.301 0.078 0.000 Li
0.078 0.699 0.000 Li
0.699 0.922 0.000 Li
0.078 0.301 0.500 Li
0.922 0.301 0.000 Li
0.408 0.268 0.500 Ga
0.268 0.408 0.000 Ga
0.268 0.592 0.500 Ga
0.408 0.732 0.000 Ga
0.732 0.408 0.500 Ga
0.732 0.592 0.000 Ga
0.592 0.732 0.500 Ga
0.592 0.268 0.000 Ga
```

Computed properties:
VASP energy, eV per cell: -42.40
ΔE_f, eV/atom: -0.180
Mass density, g cm⁻³: 3.47
V, Å³/atom: 18.3
M_tot, μB per formula unit: 0.0



4.
VASP calculation (GGA-PBE) on a geometry-optimized SrCu2PIr structure.

```
SrCu2PIr
1.0
-1.033 -4.560 -0.265
4.334 -1.189 3.563
-2.888 0.441 3.660
Ir P Sr Cu
1 1 1 2
Direct
0.000 0.000 0.000 Ir
0.500 0.500 0.500 P
0.000 0.500 0.000 Sr
0.000 0.000 0.500 Cu
0.500 0.000 0.000 Cu
```

Computed properties:
VASP energy, eV per cell: -20.07
ΔE_f, eV/atom: 0.816
Mass density, g cm⁻³: 5.78
V, Å³/atom: 25.2
M_tot, μB per formula unit: 1.8



5.
VASP calculation (GGA-PBE) on a geometry-optimized BeN2F2 structure.

```
BeN2F2
1.0
3.665 0.000 0.000
0.000 3.665 0.000
0.000 0.000 3.327
F N Be
2 2 1
Direct
0.000 0.000 0.500 F
0.500 0.500 0.500 F
0.000 0.500 0.000 N
0.500 0.000 0.000 N
0.000 0.000 0.000 Be
```
********
The good news? Many of these challenges can be addressed through rapport and strong relationships. Lam et al.’s table of “Suggested Solutions to Research Challenges” outlines suggestions for overcoming the obstacles in this growing field of research. For starters, research staff should build lasting relationships with the nursing home and their staff. In our experience, being mindful of which method of communication a facility staff member prefers, as well as knowing their preferred time to communicate (e.g., not calling during staff meetings or med passes), makes a long-term difference in retention of a nursing home research site.